Now print the whole of the calculation results underneath word for word.

No. 1
# PBE CsH3, relaxed
data_CsH3
_cell_length_a 6.3483
_cell_length_b 6.3483
_cell_length_c 11.8099
_cell_angle_alpha 90.00
_cell_angle_beta 90.00
_cell_angle_gamma 120.00
_symmetry_space_group_name_H-M 'R -3 c'
_symmetry_Int_Tables_number 167
_symmetry_space_group_name_Hall '-R 3 2"c'
loop_
_atom_site_label
_atom_site_type_symbol
_atom_site_fract_x
_atom_site_fract_y
_atom_site_fract_z
Cs1 Cs 0.0000 0.0000 0.0000
H1 H 0.0000 0.1128 0.2500
# - total magnetization (μB/atom) = 0.000


No. 2
Here is CsH after structural relaxation from the Materials Project. Energies are from PBE.

```
data_CsH
_cell_length_a 3.859
_cell_length_b 3.859
_cell_length_c 3.859
_cell_angle_alpha 90.00
_cell_angle_beta 90.00
_cell_angle_gamma 90.00
_symmetry_space_group_name_H-M 'P m -3 m'
_symmetry_Int_Tables_number 221
_symmetry_space_group_name_Hall '-P 4 2 3'
loop_
_atom_site_label
_atom_site_type_symbol
_atom_site_fract_x
_atom_site_fract_y
_atom_site_fract_z
Cs1 Cs 0.000 0.000 0.000
H1 H 0.500 0.500 0.500
```


No. 3
# PBE Cs2Hg3H2I8O, relaxed
data_Cs2Hg3H2I8O
_cell_length_a 7.800
_cell_length_b 22.680
_cell_length_c 8.092
_cell_angle_alpha 90.00
_cell_angle_beta 108.10
_cell_angle_gamma 90.00
_symmetry_space_group_name_H-M 'C 1 m 1'
_symmetry_Int_Tables_number 8
_symmetry_space_group_name_Hall 'C -2y'
loop_
_atom_site_label
_atom_site_type_symbol
_atom_site_fract_x
_atom_site_fract_y
_atom_site_fract_z
Cs1 Cs 0.000 0.124 0.000
Hg1 Hg 0.143 0.306 0.369
Hg2 Hg 0.254 0.500 0.443
H1 H 0.161 0.000 0.317
H2 H 0.301 0.000 0.218
I1 I 0.035 0.195 0.501
I2 I 0.054 0.401 0.554
I3 I 0.100 0.000 0.668
I4 I 0.138 0.500 0.085
I5 I 0.497 0.195 0.012
O1 O 0.171 0.000 0.199
# - total magnetization (μB/atom) = 0.000


No. 4
# PBE CsKTeH6SO10, relaxed
data_CsKTeH6SO10
_cell_length_a 12.715
_cell_length_b 6.709
_cell_length_c 15.334
_cell_angle_alpha 90.00
_cell_angle_beta 126.04
_cell_angle_gamma 90.00
_symmetry_space_group_name_H-M 'P 1 c 1'
_symmetry_Int_Tables_number 7
_symmetry_space_group_name_Hall 'P -2yc'
loop_
_atom_site_label
_atom_site_type_symbol
_atom_site_fract_x
_atom_site_fract_y
_atom_site_fract_z
Cs1 Cs 0.000 0.021 0.000
Cs2 Cs 0.005 0.477 0.275
K1 K 0.465 0.463 0.484
K2 K 0.536 0.041 0.794
Te1 Te 0.291 0.493 0.654
Te2 Te 0.713 0.004 0.623
H1 H 0.052 0.491 0.567
H2 H 0.255 0.235 0.521
H3 H 0.258 0.284 0.006
H4 H 0.297 0.187 0.246
H5 H 0.311 0.232 0.777
H6 H 0.478 0.051 0.052
H7 H 0.528 0.453 0.227
H8 H 0.690 0.272 0.501
H9 H 0.706 0.312 0.029
H10 H 0.747 0.225 0.268
H11 H 0.752 0.256 0.760
H12 H 0.950 0.016 0.706
S1 S 0.227 0.002 0.868
S2 S 0.777 0.498 0.910
O1 O 0.093 0.053 0.832
O2 O 0.130 0.489 0.144
O3 O 0.199 0.366 0.016
O4 O 0.235 0.014 0.774
O5 O 0.240 0.238 0.579
O6 O 0.262 0.203 0.414
O7 O 0.322 0.150 0.953
O8 O 0.360 0.263 0.240
O9 O 0.370 0.345 0.789
O10 O 0.450 0.480 0.662
O11 O 0.556 0.012 0.618
O12 O 0.630 0.162 0.490
O13 O 0.641 0.233 0.032
O14 O 0.682 0.357 0.324
O15 O 0.742 0.291 0.866
O16 O 0.769 0.253 0.704
O17 O 0.771 0.486 0.504
O18 O 0.806 0.148 0.257
O19 O 0.872 0.007 0.130
O20 O 0.911 0.452 0.444
# - total magnetization (μB/atom) = 0.000


No. 5
# PBE CsLiH4N2, relaxed
data_CsLiH4N2
_cell_length_a 6.5028
_cell_length_b 6.5028
_cell_length_c 8.5108
_cell_angle_alpha 90.00
_cell_angle_beta 90.00
_cell_angle_gamma 120.00
_symmetry_space_group_name_H-M 'P 62 2 2'
_symmetry_Int_Tables_number 180
_symmetry_space_group_name_Hall 'P 62 2 (0 0 4)'
loop_
_atom_site_label
_atom_site_type_symbol
_atom_site_fract_x
_atom_site_fract_y
_atom_site_fract_z
Cs1 Cs 0.0000 0.5000 0.1667
Li1 Li 0.0000 0.0000 0.0000
H1 H 0.0882 0.3941 0.5453
N1 N 0.1406 0.2812 0.5000
# - total magnetization (μB/atom) = 0.000
# - piezoelectric modulus e_max (C/m²) = 0.41


No. 6
Here is Cs4Mg3H10 after structural relaxation from the Materials Project. Energies are from PBE.

```
data_Cs4Mg3H10
_cell_length_a 6.268
_cell_length_b 14.669
_cell_length_c 13.809
_cell_angle_alpha 90.00
_cell_angle_beta 90.00
_cell_angle_gamma 90.00

No. 1
# PBE CsH3, relaxed
data_CsH3
_cell_length_a 6.3483
_cell_length_b 6.3483
_cell_length_c 11.8099
_cell_angle_alpha 90.00
_cell_angle_beta 90.00
_cell_angle_gamma 120.00
_symmetry_space_group_name_H-M 'R -3 c'
_symmetry_Int_Tables_number 167
_symmetry_space_group_name_Hall '-R 3 2"c'
loop_
_atom_site_label
_atom_site_type_symbol
_atom_site_fract_x
_atom_site_fract_y
_atom_site_fract_z
Cs1 Cs 0.0000 0.0000 0.0000
H1 H 0.0000 0.1128 0.2500
# - total magnetization (μB/atom) = 0.000


No. 2
Here is CsH after structural relaxation from the Materials Project. Energies are from PBE.

```
data_CsH
_cell_length_a 3.859
_cell_length_b 3.859
_cell_length_c 3.859
_cell_angle_alpha 90.00
_cell_angle_beta 90.00
_cell_angle_gamma 90.00
_symmetry_space_group_name_H-M 'P m -3 m'
_symmetry_Int_Tables_number 221
_symmetry_space_group_name_Hall '-P 4 2 3'
loop_
_atom_site_label
_atom_site_type_symbol
_atom_site_fract_x
_atom_site_fract_y
_atom_site_fract_z
Cs1 Cs 0.000 0.000 0.000
H1 H 0.500 0.500 0.500
```


No. 3
# PBE Cs2Hg3H2I8O, relaxed
data_Cs2Hg3H2I8O
_cell_length_a 7.800
_cell_length_b 22.680
_cell_length_c 8.092
_cell_angle_alpha 90.00
_cell_angle_beta 108.10
_cell_angle_gamma 90.00
_symmetry_space_group_name_H-M 'C 1 m 1'
_symmetry_Int_Tables_number 8
_symmetry_space_group_name_Hall 'C -2y'
loop_
_atom_site_label
_atom_site_type_symbol
_atom_site_fract_x
_atom_site_fract_y
_atom_site_fract_z
Cs1 Cs 0.000 0.124 0.000
Hg1 Hg 0.143 0.306 0.369
Hg2 Hg 0.254 0.500 0.443
H1 H 0.161 0.000 0.317
H2 H 0.301 0.000 0.218
I1 I 0.035 0.195 0.501
I2 I 0.054 0.401 0.554
I3 I 0.100 0.000 0.668
I4 I 0.138 0.500 0.085
I5 I 0.497 0.195 0.012
O1 O 0.171 0.000 0.199
# - total magnetization (μB/atom) = 0.000


No. 4
# PBE CsKTeH6SO10, relaxed
data_CsKTeH6SO10
_cell_length_a 12.715
_cell_length_b 6.709
_cell_length_c 15.334
_cell_angle_alpha 90.00
_cell_angle_beta 126.04
_cell_angle_gamma 90.00
_symmetry_space_group_name_H-M 'P 1 c 1'
_symmetry_Int_Tables_number 7
_symmetry_space_group_name_Hall 'P -2yc'
loop_
_atom_site_label
_atom_site_type_symbol
_atom_site_fract_x
_atom_site_fract_y
_atom_site_fract_z
Cs1 Cs 0.000 0.021 0.000
Cs2 Cs 0.005 0.477 0.275
K1 K 0.465 0.463 0.484
K2 K 0.536 0.041 0.794
Te1 Te 0.291 0.493 0.654
Te2 Te 0.713 0.004 0.623
H1 H 0.052 0.491 0.567
H2 H 0.255 0.235 0.521
H3 H 0.258 0.284 0.006
H4 H 0.297 0.187 0.246
H5 H 0.311 0.232 0.777
H6 H 0.478 0.051 0.052
H7 H 0.528 0.453 0.227
H8 H 0.690 0.272 0.501
H9 H 0.706 0.312 0.029
H10 H 0.747 0.225 0.268
H11 H 0.752 0.256 0.760
H12 H 0.950 0.016 0.706
S1 S 0.227 0.002 0.868
S2 S 0.777 0.498 0.910
O1 O 0.093 0.053 0.832
O2 O 0.130 0.489 0.144
O3 O 0.199 0.366 0.016
O4 O 0.235 0.014 0.774
O5 O 0.240 0.238 0.579
O6 O 0.262 0.203 0.414
O7 O 0.322 0.150 0.953
O8 O 0.360 0.263 0.240
O9 O 0.370 0.345 0.789
O10 O 0.450 0.480 0.662
O11 O 0.556 0.012 0.618
O12 O 0.630 0.162 0.490
O13 O 0.641 0.233 0.032
O14 O 0.682 0.357 0.324
O15 O 0.742 0.291 0.866
O16 O 0.769 0.253 0.704
O17 O 0.771 0.486 0.504
O18 O 0.806 0.148 0.257
O19 O 0.872 0.007 0.130
O20 O 0.911 0.452 0.444
# - total magnetization (μB/atom) = 0.000


No. 5
# PBE CsLiH4N2, relaxed
data_CsLiH4N2
_cell_length_a 6.5028
_cell_length_b 6.5028
_cell_length_c 8.5108
_cell_angle_alpha 90.00
_cell_angle_beta 90.00
_cell_angle_gamma 120.00
_symmetry_space_group_name_H-M 'P 62 2 2'
_symmetry_Int_Tables_number 180
_symmetry_space_group_name_Hall 'P 62 2 (0 0 4)'
loop_
_atom_site_label
_atom_site_type_symbol
_atom_site_fract_x
_atom_site_fract_y
_atom_site_fract_z
Cs1 Cs 0.0000 0.5000 0.1667
Li1 Li 0.0000 0.0000 0.0000
H1 H 0.0882 0.3941 0.5453
N1 N 0.1406 0.2812 0.5000
# - total magnetization (μB/atom) = 0.000
# - piezoelectric modulus e_max (C/m²) = 0.41


No. 6
Here is Cs4Mg3H10 after structural relaxation from the Materials Project. Energies are from PBE.

```
data_Cs4Mg3H10
_cell_length_a 6.268
_cell_length_b 14.669
_cell_length_c 13.809
_cell_angle_alpha 90.00
_cell_angle_beta 90.00
_cell_angle_gamma 90.00